CSA programs were created for the mutual commitment between a farm and a community of supporters. It links people directly with their source of food, providing them with the freshest, sustainable products while giving farmers a source of income at their time of highest expense (early spring).



What You Get

Quality: The items in your boxes are grown on the farm, harvested as close to the delivery day as possible, and picked at their peak. We take pride in providing the highest quality.

Convenience: Members will receive a weekly box of our seasonal vegetables over 12 weeks. CSA boxes will be delivered right to your doorstep for the ultimate convenience.

Community: By supporting locally grown food you will be strengthening your communities self-reliance and resiliency. 

Save Money: Pay less for your produce than you would at the market or when buying individualy each week.

Connection: Create a relationship with your food by knowing where your food comes from and who is growing it. Come out to the farm and get a tour to learn more.


Your Commitment

Pledge: You are making a pledge to support the farm. By becoming a member you share the risks and challenges that constantly exist when growing food. You understand that the quantities and timing of harvest may be affected by adverse weather conditions or events.

Participate: When you commit to a local CSA share you are making a difference in the food system. Each veggie that you get that is locally grown is a veggie that didn’t have to be shipped crossed the world. By supporting a local farmer you are taking the power away from the big corporations that are trying to control your lives.

Receive: Receiving your box is your biggest responsibility. If you are not able to receive your box on any given day, make sure to arrange for someone else to bring it inside or contact me to figure something out!

Enjoy: The flavors and nutrient density that your food has when grown close to home and organically will benefit you and your body. Knowing that you are making a difference will benefit your mind and soul 🙂


Our Commitment

We grow food that is free from synthetic chemicals, nutritionally dense, and fresh food. Kapristo Farms uses organic, sustainable, and traditional methods to plant, cultivate, and harvest food: and to control disease and insects. Practicing permaculture methods to create a closed-loop regenerative farm. We strive to work with nature and the resources we have on the farm.
We also take the responsibility of good clear communication seriously, so always feel free to contact us with any concerns 🙂

== Unrelated to this piece: materials data ==
+++
Entry from Alexandria via LeMat-Bulk: an optimized crystal structure of SmHo6Er3Tm2 (GGA-PBE).

Values from the calculation:
energy relative to the elements = 24 kJ/mol of formula units
theoretical density = 8.9 Mg/m³

Cell: 6.0913 6.0913 11.6684 Å, 85.04 85.04 119.90°
Sites, in units of the cell vectors:
Ho  0.9160  0.5821  0.2509
Ho  0.4179  0.0840  0.7491
Ho  0.5821  0.9160  0.2509
Ho  0.0840  0.4179  0.7491
Ho  0.7499  0.7499  0.7491
Ho  0.2501  0.2501  0.2509
Er  0.1670  0.8330  0.5000
Er  0.5000  0.5000  0.5000
Er  0.8330  0.1670  0.5000
Tm  0.3333  0.6667  0.0000
Tm  0.6667  0.3333  0.0000
Sm  0.0000  0.0000  0.0000
+++
== End of the materials data ==

Frequently Asked Questions

Can I choose what's in my box each week?

At this point in time, we are unable to offer completely customized CSA boxes. Currently, boxes are seasonal and vary each week. We do our best to offer a variety of produce that is suitable for weekly meals. The program is able to accommodate medical allergies if notified in advance. If you are interested in picking out your own selection each week, find us at the Golden Farmers Market every Wednesday!

Where do you deliver?

Delivery by door is available to Golden residences. As well as, Campbell road between Mons road and Golden. Mitchell road and highway 95 North of Mitchell road. If you live outside this area a pick-up location can be arranged. 
Also Farm pick-up is an option.

Can I try before I commit?

Yes! We offer a trial week of one delivery so you can see exactly what it’s like before committing to a subscription. The trial week can be selected in our store.

What if I have dietary concerns?

Any and all your dietary concerns can be included as notes when you check out your subscription, and I’m happy to accommodate you.

How do I add eggs or rabbit to my box?

If they are available then you can find these items in our online store. Simply purchase them by Thursday each week and they will be delivered with your CSA delivery that Friday.

How does payment work?

We accept PayPal, e-transfers or cash. PayPal can be used directly in the checkout, allowing you to use a credit card, debit card or your PayPal account. E-transfers need to be sent to within 24 hours of checking out. Cash payments are due at the first delivery.

When are subscriptions available?

Signing up for subscriptions is available bi-yearly in late spring and fall.
The open cart will start on June 15th until all shares are filled. The first CSA box will be delivered on July 15th. If a trial box was purchased you will have 4 days after delivery to commit to a CSA Share plan.


When is the first box? When is the last box?

This CSA program runs for 12 weeks, and are delivered on ? This years dates and delivery day has yet to be determined.

Do I need to be home for the delivery time?

It’s best, but not a deal breaker. You can always reach out to me before the delivery day and we’ll make a different arrangement to make sure your Farm Meal Box gets to you safe and sound.

What if I need to skip a week?

You bet. It’s important to plan to receive and consume your meal boxes as scheduled, but I understand, there’s often one week that just doesn’t fit. One grace week can be skipped with any subscription (just pop me an email with adequate notice), which will bump that delivery forward to the week after your subscription would have ended.

What happens if I want to cancel?

The trial week is the best way to figure out if this is for you. No pressure, no commitment, just a delicious taste-test. Once you do commit to a subscription, that means I’ll invest time and money into ingredients, prep and delivery time, and no refunds will be issued for cancelled subscriptions.

Do I have to purchase containers for the box program?

No, you will be designated 2 wooden crates that will be rotated out each week. Any and all containers, including crates will be expected to be returned once they are empty.
We are passionate about reducing, reusing, and recycling. Less waste the better.

How do I sign up?

Choose from the three share options.
Trial Week or Small Share or Large Share
In the checkout, you will be prompt to enter your dietary requirements, address details, and payment options. Don’t whole back with your dietary preferences!!

What is the difference between weekly specials and subscriptions?

Weekly specials offer a rotating selection of à la carte products that you can order for a one-off delivery any time you’re interested.
Subscriptions are a commitment that guarantees delivery of a CSA share for a set number of weeks from a one-time order at a cost efficient price. Please note, not everything will be available each week for those ordering weekly from our specials.

Can I volunteer for CSA credit?

YES! We always need extra helping hands and are happy to exchange for farm credit. 
Just drop us an email to arrange a day to come out and lend a hand.

11 + 15 =

Get In Touch or Visit The Farm Anytime

1(250) 348-2286